-- Brief --
It remains to search the listing underneath for the word "geometry" and restate each line that has it.

-- Given --
No. 1
Na3Hf3GaP6O24 | PBE | optimized geometry

- formation energy from the elements (eV/atom) = -3.054
- MP2020-corrected energy (eV per formula unit) = -301.097

Unit cell a=8.824 b=8.813 c=22.864 alpha=90.00 beta=90.00 gamma=120.19
Fractional coordinates of all 111 atoms:
P 0.631 0.958 0.416
P 0.714 0.706 0.251
P 0.381 0.334 0.086
P 0.329 0.370 0.415
P 0.953 0.334 0.585
P 0.624 0.666 0.916
P 0.292 0.006 0.250
P 0.665 0.619 0.586
P 0.710 0.009 0.749
P 0.667 0.048 0.086
P 0.953 0.619 0.086
P 0.043 0.675 0.416
P 0.991 0.285 0.252
P 0.996 0.703 0.748
P 0.298 0.291 0.749
P 0.381 0.046 0.586
P 0.333 0.958 0.917
P 0.042 0.375 0.917
O 0.793 0.969 0.696
O 0.536 0.693 0.970
O 0.164 0.469 0.258
O 0.871 0.507 0.140
O 0.684 0.519 0.244
O 0.862 0.503 0.423
O 0.827 0.523 0.742
O 0.156 0.462 0.971
O 0.483 0.317 0.743
O 0.320 0.477 0.756
O 0.196 0.026 0.590
O 0.968 0.180 0.308
O 0.160 0.687 0.755
O 0.795 0.822 0.196
O 0.360 0.497 0.078
O 0.502 0.640 0.578
O 0.859 0.357 0.923
O 0.497 0.141 0.923
O 0.822 0.031 0.804
O 0.870 0.364 0.638
O 0.310 0.840 0.257
O 0.694 0.157 0.030
O 0.830 0.027 0.091
O 0.359 0.862 0.578
O 0.830 0.805 0.590
O 0.653 0.144 0.423
O 0.637 0.511 0.642
O 0.831 0.308 0.243
O 0.177 0.973 0.196
O 0.031 0.203 0.198
O 0.359 0.484 0.360
O 0.542 0.845 0.471
O 0.494 0.354 0.422
O 0.138 0.498 0.577
O 0.817 0.983 0.409
O 0.492 0.129 0.640
O 0.974 0.804 0.090
O 0.526 0.683 0.257
O 0.127 0.636 0.363
O 0.642 0.502 0.922
O 0.529 0.836 0.756
O 0.306 0.844 0.971
O 0.024 0.837 0.408
O 0.690 0.170 0.742
O 0.156 0.698 0.471
O 0.824 0.791 0.306
O 0.693 0.535 0.531
O 0.026 0.821 0.695
O 0.024 0.193 0.910
O 0.160 0.189 0.409
O 0.360 0.872 0.862
O 0.474 0.172 0.243
O 0.973 0.170 0.590
O 0.843 0.537 0.030
O 0.846 0.306 0.527
O 0.195 0.170 0.091
O 0.489 0.363 0.142
O 0.209 0.179 0.804
O 0.137 0.641 0.078
O 0.128 0.488 0.862
O 0.462 0.156 0.530
O 0.513 0.873 0.362
O 0.635 0.129 0.140
O 0.965 0.790 0.803
O 0.169 0.976 0.910
O 0.299 0.459 0.469
O 0.180 0.206 0.695
O 0.465 0.307 0.031
O 0.210 0.040 0.305
O 0.807 0.831 0.910
O 0.503 0.863 0.078
O 0.515 0.640 0.860
Na 0.367 0.362 0.248
Na 0.638 0.633 0.748
Na 0.667 0.334 0.328
Na 0.326 0.667 0.665
Na 0.971 0.300 0.414
Na 0.001 0.992 0.498
Na 0.333 0.674 0.165
Na 0.000 0.000 0.001
Na 0.667 0.325 0.832
Hf 0.002 0.002 0.645
Hf 0.667 0.334 0.981
Hf 0.334 0.668 0.521
Hf 0.001 0.002 0.853
Hf 0.998 0.998 0.146
Hf 0.661 0.334 0.481
Hf 0.328 0.667 0.814
Hf 0.335 0.674 0.312
Hf 0.334 0.667 0.022
Ga 0.999 0.992 0.348
Ga 0.673 0.333 0.184
Ga 0.668 0.327 0.684

---

No. 2
Na3Hf2Ga2P5SO24 | PBE | optimized geometry

- formation energy from the elements (eV/atom) = -2.795
- MP2020-corrected energy (eV per formula unit) = -283.315

Unit cell a=8.731 b=8.711 c=22.550 alpha=90.19 beta=89.82 gamma=120.16
Fractional coordinates of all 111 atoms:
O 0.166 0.685 0.755
O 0.493 0.362 0.422
O 0.457 0.305 0.029
O 0.637 0.507 0.922
O 0.787 0.967 0.691
O 0.877 0.511 0.137
O 0.501 0.861 0.361
O 0.035 0.834 0.410
O 0.306 0.479 0.758
O 0.983 0.819 0.092
O 0.306 0.460 0.471
O 0.307 0.839 0.973
O 0.800 0.972 0.412
O 0.518 0.694 0.257
O 0.839 0.310 0.244
O 0.538 0.692 0.971
O 0.176 0.202 0.411
O 0.694 0.542 0.528
O 0.819 0.793 0.305
O 0.144 0.643 0.077
O 0.693 0.163 0.744
O 0.486 0.362 0.138
O 0.347 0.498 0.076
O 0.974 0.795 0.805
O 0.207 0.023 0.303
O 0.182 0.168 0.091
O 0.133 0.491 0.859
O 0.848 0.547 0.028
O 0.366 0.871 0.860
O 0.184 0.020 0.590
O 0.841 0.524 0.744
O 0.700 0.155 0.029
O 0.180 0.971 0.196
O 0.362 0.486 0.362
O 0.512 0.639 0.863
O 0.498 0.848 0.075
O 0.498 0.138 0.922
O 0.026 0.197 0.912
O 0.033 0.825 0.694
O 0.884 0.364 0.640
O 0.357 0.856 0.577
O 0.167 0.967 0.912
O 0.977 0.163 0.590
O 0.635 0.120 0.138
O 0.160 0.465 0.974
O 0.457 0.153 0.528
O 0.796 0.825 0.912
O 0.865 0.367 0.922
O 0.790 0.824 0.194
O 0.474 0.313 0.744
O 0.152 0.501 0.576
O 0.683 0.525 0.244
O 0.521 0.827 0.757
O 0.844 0.300 0.531
O 0.830 0.818 0.589
O 0.827 0.028 0.803
O 0.536 0.841 0.475
O 0.835 0.024 0.090
O 0.206 0.180 0.805

-- Written answer --
Na3Hf3GaP6O24 | PBE | optimized geometry
Na3Hf2Ga2P5SO24 | PBE | optimized geometry